PHP is the open-source scripting language that WordPress is built on. Keeping your site’s PHP version up-to-date allows your site to utilise all of PHP’s latest features and improvements, resulting in optimised security and speed. At WPhost, we work hard to ensure our customers have access to the latest versions of PHP, and we typically make those versions available as soon as we’ve completed the necessary testing. All new sites

Each site hosted with WPhost is spun up on its own containerised site pod on the Google Cloud Platform. Your WordPress site gets its own resources with an allocated number of workers and memory dedicated to PHP. In addition, we also assign memory to NGINX and all the other services running on your server. As an example, our out of the box Divi Theme sites are spun up with the

**Someone pasted calculated crystals at this point:**
-- begin --
[1]
# LiCoAsO

A relaxed LiCoAsO crystal (PBE with a Hubbard U, the Open Quantum Materials Database).

Calculated values
- magnetization (μB per formula unit) = 2.49
- E_tot (eV/atom) = -4.85
- relative energy among the computed polymorphs (eV/atom) = 0.000
- volume (Å³/f.u.) = 56

Geometry as CIF:
```
data_LiCoAsO
_space_group_name_H-M_alt 'P m c 21'
_space_group_IT_number 26
_cell_length_a 3.462
_cell_length_b 6.723
_cell_length_c 4.844
_cell_angle_alpha 90.00
_cell_angle_beta 90.00
_cell_angle_gamma 90.00
loop_
_space_group_symop_operation_xyz
'x,y,z'
'-x,-y,z+1/2'
'-x,y,z'
'x,-y,z+1/2'
loop_
_atom_site_label
_atom_site_type_symbol
_atom_site_fract_x
_atom_site_fract_y
_atom_site_fract_z
_atom_site_occupancy
Li1 Li 0.000 0.183 0.000 1
Co1 Co 0.500 0.168 0.527 1
As1 As 0.000 0.419 0.466 1
O1 O 0.500 0.102 0.915 1
```


[2]
# LiCoAsO

A relaxed LiCoAsO crystal (PBE with a Hubbard U, the Open Quantum Materials Database).

Calculated values
- magnetization (μB per formula unit) = 2.38
- E_tot (eV/atom) = -4.84
- relative energy among the computed polymorphs (eV/atom) = 0.013
- volume (Å³/f.u.) = 55

Geometry as CIF:
```
data_LiCoAsO
_space_group_name_H-M_alt 'P m c 21'
_space_group_IT_number 26
_cell_length_a 3.034
_cell_length_b 7.368
_cell_length_c 4.951
_cell_angle_alpha 90.00
_cell_angle_beta 90.00
_cell_angle_gamma 90.00
loop_
_space_group_symop_operation_xyz
'x,y,z'
'-x,-y,z+1/2'
'-x,y,z'
'x,-y,z+1/2'
loop_
_atom_site_label
_atom_site_type_symbol
_atom_site_fract_x
_atom_site_fract_y
_atom_site_fract_z
_atom_site_occupancy
Li1 Li 0.000 0.103 0.000 1
Co1 Co 0.500 0.279 0.426 1
As1 As 0.500 0.398 0.894 1
O1 O 0.000 0.129 0.376 1
```


[3]
# LiCoAsO

A relaxed LiCoAsO crystal (PBE with a Hubbard U, the Open Quantum Materials Database).

Calculated values
- magnetization (μB per formula unit) = 0.01
- E_tot (eV/atom) = -4.41
- relative energy among the computed polymorphs (eV/atom) = 0.441
- volume (Å³/f.u.) = 47

Geometry as CIF:
```
data_LiCoAsO
_space_group_name_H-M_alt 'P 4/n m m'
_space_group_IT_number 129
_cell_length_a 3.715
_cell_length_b 3.715
_cell_length_c 6.792
_cell_angle_alpha 90.00
_cell_angle_beta 90.00
_cell_angle_gamma 90.00
loop_
_space_group_symop_operation_xyz
'x,y,z'
'-x,-y,-z'
'-y+1/2,x,z'
'y+1/2,-x,-z'
'-x+1/2,-y+1/2,z'
'x+1/2,y+1/2,-z'
'y,-x+1/2,z'
'-y,x+1/2,-z'
'x+1/2,-y,-z'
'-x+1/2,y,z'
'-y,-x,-z'
'y,x,z'
'-x,y+1/2,-z'
'x,-y+1/2,z'
'y+1/2,x+1/2,-z'
'-y+1/2,-x+1/2,z'
loop_
_atom_site_label
_atom_site_type_symbol
_atom_site_fract_x
_atom_site_fract_y
_atom_site_fract_z
_atom_site_occupancy
Li1 Li 0.250 0.250 0.083 1
Co1 Co 0.250 0.750 0.500 1
As1 As 0.250 0.250 0.693 1
O1 O 0.250 0.750 0.000 1
```


[4]
# LiCoAsO

A relaxed LiCoAsO crystal (PBE with a Hubbard U, the Open Quantum Materials Database).

Calculated values
- magnetization (μB per formula unit) = 0.01
- E_tot (eV/atom) = -4.41
- relative energy among the computed polymorphs (eV/atom) = 0.441
- volume (Å³/f.u.) = 46

Geometry as CIF:
```
data_LiCoAsO
-- stop --

In our continued efforts to offer the latest technologies on our platform, we’re announcing support for PHP 7.4! As of June this year, all new sites on WPhost use PHP 7.4. Older sites are scheduled to be upgraded to PHP 7.4 on Wednesday, 25 November 2020 at 5AM NZDT. Sites upgrading from PHP 7.2/7.3 to 7.4 can see increases in performance and also stay up to date as previous versions

(Data records, as found in the file)
Entry 1:
Here is MgAg4 at its PBEsol-relaxed geometry from Alexandria. Energies are from meta-GGA SCAN.

a b c (Å): 3.0364 3.0364 9.4832
angles (deg): 99.21 99.21 90.00
Closest atoms and distances in Å follow each position.
Fractional positions:
Ag 0.7994 0.7994 0.5988  12 Ag 2.82-3.04
Ag 0.2006 0.2006 0.4012  12 Ag 2.82-3.04
Ag 0.3995 0.3995 0.7990  8 Ag 2.83-3.04, 4 Mg 2.84
Ag 0.6005 0.6005 0.2010  8 Ag 2.83-3.04, 4 Mg 2.84
Mg 0.0000 0.0000 0.0000  8 Ag 2.84, 4 Mg 3.04

## Properties
As for the magnetization: 0.00 μB per formula unit. As for the symmetry: No. 139. For the energy, the calculation gives -130.89 eV/f.u.



Entry 2:
Here is CeSe at its PBEsol-relaxed geometry from Alexandria. Energies are from meta-GGA SCAN.

a b c (Å): 4.1229 4.1229 4.1229
angles (deg): 60.00 60.00 60.00
Closest atoms and distances in Å follow each position.
Fractional positions:
Se 0.5000 0.5000 0.5000  6 Ce 2.92
Ce 0.0000 0.0000 0.0000  6 Se 2.92

## Properties
The value obtained for the energy relative to the elements, uncorrected is -1.973 eV/atom. As for the magnetization: 1.08 μB per formula unit. As for the symmetry: No. 225. For the energy, the calculation gives -68.59 eV/f.u.



Entry 3:
Here is Li2V6O15 at its PBEsol-relaxed geometry from Alexandria. Energies are from meta-GGA SCAN.

a b c (Å): 3.5596 7.9455 10.0856
angles (deg): 112.62 90.00 102.94
Closest atoms and distances in Å follow each position.
Fractional positions:
O 0.8819 0.7637 0.7281  1 V 1.63
O 0.8169 0.6337 0.0619  2 V 1.85
O 0.4464 0.8928 0.2404  1 V 1.63
O 0.7571 0.5142 0.4241  3 V 1.86-2.00
O 0.6355 0.2709 0.0672  3 V 1.87-1.99
O 0.1831 0.3663 0.9381  2 V 1.85
O 0.3645 0.7291 0.9328  3 V 1.87-1.99
O 0.2705 0.5410 0.2266  2 V 1.82-1.87
O 0.7295 0.4590 0.7734  2 V 1.82-1.87
O 0.5536 0.1072 0.7596  1 V 1.63
O 0.2429 0.4858 0.5759  3 V 1.86-2.00
O 0.0000 0.0000 0.0000  2 V 1.77
O 0.5963 0.1926 0.5041  1 V 1.62
O 0.1181 0.2363 0.2719  1 V 1.63
O 0.4037 0.8074 0.4959  1 V 1.62
V 0.7099 0.4198 0.5828  1 O 1.62
V 0.2901 0.5802 0.4172  1 O 1.62
V 0.3414 0.6827 0.1130  1 O 1.63
V 0.1215 0.2429 0.1122  2 O 1.63-1.77
V 0.8785 0.7571 0.8878  2 O 1.63-1.77
V 0.6586 0.3173 0.8870  1 O 1.63
Li 0.0227 0.0454 0.3465  1 O 1.91
Li 0.9773 0.9546 0.6535  1 O 1.91

## Properties
The value obtained for the energy relative to the elements, uncorrected is -2.551 eV/atom. As for the magnetization: 1.38 μB per formula unit. As for the symmetry: No. 12. For the energy, the calculation gives -261.85 eV/f.u.



Entry 4:
Here is AlAgCl2 at its PBEsol-relaxed geometry from Alexandria. Energies are from meta-GGA SCAN.

a b c (Å): 3.0763 6.0275 6.4913
angles (deg): 123.26 90.00 104.78
Closest atoms and distances in Å follow each position.
Fractional positions:
Cl 0.9080 0.8160 0.8692  2 Al 2.36
Cl 0.7886 0.5772 0.1921  2 Al 2.43
Al 0.2548 0.5096 0.8717  4 Cl 2.36-2.43, 2 Ag 2.58
Ag 0.5486 0.0973 0.5670  2 Al 2.58

## Properties

If you’re currently using a shared web hosting provider, you’re probably wondering when’s the best time to move to NZ managed WordPress hosting? There is never a better time to move to New Zealand managed WordPress hosting than right now. Unfortunately, too many WordPress website owners leave it until it’s too late to upgrade to managed WordPress hosting. Their decision is usually forced after their site crashes on shared web

Behind every is a powerful web hosting provider. If you want your website to have the fastest WordPress hosting speeds, rock solid security, and a stress free hosting experience, you need to move it to a managed WordPress hosting provider. What is managed WordPress hosting? When we refer to WPhost as a managed WordPress hosting provider, we’re calling out the many benefits that makes our hosting stand out from

• Records of crystals, kept here for reference:
+++
# 1
An optimized crystal structure of CeMnGa2, computed with PBE.

Properties
E_form (meV/atom): -265

Geometry as extended XYZ:
```
4
Lattice="-0.301 0.175 3.071 -2.841 -1.199 -0.210 2.857 -6.890 0.673" Properties=species:S:1:pos:R:3 pbc="T T T"
Mn -1.571 -0.512 1.430
Ga 2.282 -5.502 0.538
Ga 0.576 -1.388 0.136
Ce -0.142 -3.957 1.767
```

---

# 2
An optimized crystal structure of IrW2Br, computed with PBE.

Properties
Total DFT energy (no corrections) (eV/atom): -8.372

Geometry as extended XYZ:
```
4
Lattice="3.004 0.000 0.000 0.000 3.004 0.000 0.000 0.000 7.043" Properties=species:S:1:pos:R:3 pbc="T T T"
Ir 1.502 1.502 5.282
Br 1.502 1.502 1.761
W 0.000 0.000 0.003
W 0.000 0.000 3.519
```

---

# 3
An optimized crystal structure of BaTm4Au3O12, computed with PBE.

Properties
Total DFT energy (no corrections) (eV/atom): -6.592

Geometry as extended XYZ:
```
20
Lattice="7.153 0.000 0.000 -2.384 6.743 0.000 -2.384 -3.372 5.840" Properties=species:S:1:pos:R:3 pbc="T T T"
Ba 0.000 0.000 0.000
Tm 3.576 0.000 0.000
Tm 1.192 1.686 2.920
Tm -1.192 3.372 0.000
Tm -1.192 -1.686 2.920
Au -2.384 1.686 2.920
Au 2.384 3.372 0.000
Au 2.384 -1.686 2.920
O -0.106 5.132 0.881
O 2.490 -1.760 4.959
O 1.665 3.880 3.049
O 4.049 4.072 0.955
O 4.874 -0.043 1.836
O -0.719 2.163 1.836
O 2.279 1.568 0.955
O -2.490 3.415 4.004
O 0.719 -0.508 2.791
O -1.665 -0.701 4.885
O 3.103 1.209 4.004
O 0.106 1.804 4.885
```

---

# 4
An optimized crystal structure of PmZr2WC4, computed with PBE.

Properties
E_form (meV/atom): -306

Geometry as extended XYZ:
```
16
Lattice="3.380 0.000 0.000 -1.690 5.942 0.000 0.000 0.000 11.787" Properties=species:S:1:pos:R:3 pbc="T T T"
Pm 0.000 1.264 8.840
Pm 1.690 4.679 2.947
Zr 0.000 4.396 6.316
Zr 1.690 1.546 0.423
Zr 1.690 1.546 5.471
Zr 0.000 4.396 11.364
W 1.690 4.052 8.840
W 0.000 1.890 2.947
C 0.000 3.073 1.385
C 1.690 2.869 7.279
C 1.690 2.869 10.402
C 0.000 3.073 4.508
C 0.000 0.000 5.893
C 0.000 0.000 0.000
C 0.000 5.195 8.840
C 1.690 0.747 2.947
```

---

# 5
An optimized crystal structure of PuHfZnRe, computed with PBE.

Properties
E_form (meV/atom): 18

Geometry as extended XYZ:
```
4
Lattice="-4.140 2.371 0.020 -3.210 -0.776 -3.443 -4.060 -2.298 0.998" Properties=species:S:1:pos:R:3 pbc="T T T"
Re -5.705 -0.352 -1.213
Zn 0.000 0.000 0.000
Hf -2.853 -0.176 -0.606
Pu -8.558 -0.528 -1.819
```

---

# 6
An optimized crystal structure of YPBr2, computed with PBE.

Properties
Total DFT energy (no corrections) (eV/atom): -4.214

Geometry as extended XYZ:
```
4
Lattice="-0.523 -4.852 -1.337 -3.418 -1.307 -3.495 1.520 -1.543 -4.573" Properties=species:S:1:pos:R:3 pbc="T T T"
Y -1.210 -3.851 -4.702
P 0.000 0.000 0.000
Br -0.605 -1.925 -2.351
Br -1.816 -5.776 -7.053
```

---

# 7
An optimized crystal structure of Dy2Er8Tc, computed with PBE.

Properties
E_form (meV/atom): 11

Geometry as extended XYZ:
```
11
Lattice="5.206 0.000 -1.494 -0.073 6.360 -0.253 -0.050 0.094 9.638" Properties=species:S:1:pos:R:3 pbc="T T T"
Dy 3.885 4.297 3.721
+++

Is your WordPress website taking a second or two longer to load than you’d like, but aren’t sure where to begin troubleshooting? In our latest blog post, How to speed up your WordPress site we’ll show you five easy ways to help you speed up those slow loading sites! 1. Optimise your images Shrinking images for use on your WordPress website will use less bandwidth and load faster. Many images

Underneath our platform, there’s a lot of technical stuff happening to keep your WordPress sites fast, secure, and running smoothly.  We’ve been busy upgrading to the latest technologies to offer enterprise-grade infrastructure to all of our customers. WPhost’s Cloud Platform is now more scalable, more resilient, and faster than ever. New Zealand and Australian customers will see significant reductions in latency. Our performance testing shows 80-95% reductions in round-trip-time (RTT)